
class lenskit.data.ListILC(key, *, index=True)#

Bases: MutableItemListCollection[K], Generic[K]

Mutable item list collection backed by a Python list.

__init__(key, *, index=True)#

Create a new item list collection.



__init__(key, *[, index])

Create a new item list collection.

add(list, *fields, **kwfields)

Add a single item list to this list.

add_from(other, **fields)

Add all collection from another collection to this collection.

empty(key, *[, index])

Create a new empty, mutable item list collection.

from_df(df, key, *others)

Create an item list collection from a data frame.


Create an item list collection from a dictionary.


Iterate over item lists and keys.


Iterate over keys.


Iterate over item lists without keys.

load_parquet(path[, key, layout])

Load this item list from a Parquet file.


Look up a list by key.


Look up an item list using a projected key.

record_batches([batch_size, columns])

Get the item list collection as Arrow record batches (in native layout).

save_parquet(path, *[, layout, batch_size, ...])

Save this item list collection to a Parquet file.

to_arrow(*[, batch_size])

Convert this item list collection to an Arrow table.


Convert this item list collection to a data frame.



The names of the key fields.


The type of collection keys.


Get the schema for the lists in this ILC.

property list_schema#

## Inserted here: materials data
# 1
Compound: Li5Mn6B6O18
Source: the Materials Project database
Functional: PBE with a Hubbard U
Structure: optimized geometry

**Crystal system**: triclinic
**Formation enthalpy at 0 K**: -2.47 eV/atom

Cell and atoms, written as POSCAR:
```
Li5Mn6B6O18
1.0
5.269 0.000 0.000
-0.009 5.945 0.000
-2.411 -0.309 12.135
Li Mn B O
5 6 6 18
Cartesian
0.000 0.000 0.000
-0.864 4.126 7.587
0.155 1.761 8.039
1.720 0.180 3.587
1.823 2.044 11.659
-0.028 2.857 5.092
-0.740 3.136 10.517
2.539 4.829 1.202
1.892 5.146 6.400
2.722 0.679 9.225
4.374 1.356 2.425
-0.816 -0.073 5.065
-0.069 4.270 2.509
1.721 1.935 1.011
0.115 0.093 10.648
1.863 3.719 9.088
2.644 2.174 6.631
-1.265 2.301 6.789
0.365 1.841 0.784
-0.034 0.814 4.308
-0.177 4.970 5.922
-0.527 0.933 9.729
-0.657 5.133 11.398
1.268 4.409 2.718
0.502 3.623 8.880
2.484 2.865 0.279
2.375 1.074 1.891
1.884 3.100 5.921
1.924 1.155 7.306
1.476 0.193 10.852
3.090 -0.057 4.927
2.635 4.627 8.349
2.508 2.869 9.991
4.526 5.155 1.642
4.490 3.298 3.199
```

# 2
Compound: Li2MnBPO7
Source: the Materials Project database
Functional: PBE with a Hubbard U
Structure: optimized geometry

**Crystal system**: monoclinic
**Formation enthalpy at 0 K**: -2.46 eV/atom

Cell and atoms, written as POSCAR:
```
Li2MnBPO7
1.0
5.096 0.000 0.000
0.000 6.220 0.000
-0.472 0.000 8.635
Li Mn B P O
4 2 2 2 14
Cartesian
1.048 0.098 2.556
1.048 3.012 2.556
3.577 3.208 6.079
3.577 6.122 6.079
0.702 4.665 7.212
3.923 1.555 1.423
1.092 4.665 4.831
3.533 1.555 3.804
0.992 1.555 8.026
3.633 4.665 0.608
-0.163 4.665 5.482
0.700 1.555 0.735
0.603 0.355 7.135
0.603 2.755 7.135
1.300 4.665 3.527
2.114 4.665 0.294
2.078 4.665 5.856
2.547 1.555 2.779
2.511 1.555 8.341
3.325 1.555 5.108
4.022 3.465 1.500
4.022 5.865 1.500
3.924 4.665 7.900
4.787 1.555 3.153
```

Record-wise raw total energy values, in eV for the cell shown: -257.85 -165.48

=====

[1]
VASP calculation (r²SCAN) on a geometry-optimized K3TmF6 structure.

Output
**Total magnetic moment**: 0.000 μB/cell
**Formation energy**: -3.60 eV/atom
**Energy**: -10.795 eV per atom

Cell: 6.2348 6.5039 10.7735 Å, 90.00 124.44 90.00°
Last column: nearest neighbours and their distance in Å.
Space group P2_1/c (No. 14)
Unique sites:
1 K 0.0000 0.0000 0.0000 [2 per cell]  6 F 2.56-2.63
2 K 0.2293 0.0564 0.7460 [4 per cell]  5 F 2.62-2.91
3 Tm 0.5000 0.0000 0.5000 [2 per cell]  6 F 2.13-2.14
4 F 0.1713 0.1736 0.4504 [4 per cell]  1 Tm 2.13
5 F 0.2653 0.7291 0.4308 [4 per cell]  1 Tm 2.14
6 F 0.3896 0.0560 0.2765 [4 per cell]  1 Tm 2.13

[2]
VASP calculation (r²SCAN) on a geometry-optimized Tl2PdSe2 structure.

Output
**Total magnetic moment**: 0.000 μB/cell
**Formation energy**: -0.45 eV/atom
**Energy**: -32.035 eV per atom

Cell: 6.1564 11.4744 3.7070 Å, 90.00 90.00 90.00°
Last column: nearest neighbours and their distance in Å.
Space group Pbam (No. 55)
Unique sites:
1 Tl 0.1115 0.1530 0.0000 [4 per cell]  1 Pd 2.97, 4 Se 3.29-3.31
2 Pd 0.0000 0.5000 0.0000 [2 per cell]  4 Se 2.50

Get the schema for the lists in this ILC.

classmethod from_dict(data: Mapping[tuple[int | str | bytes | integer[Any] | str_ | bytes_ | object_, ...] | int | str | bytes | integer[Any] | str_ | bytes_ | object_, ItemList], key: type[K]) ItemListCollection[K]#
classmethod from_dict(data: Mapping[tuple[int | str | bytes | integer[Any] | str_ | bytes_ | object_, ...] | int | str | bytes | integer[Any] | str_ | bytes_ | object_, ItemList], key: Sequence[str] | str | None = None) ItemListCollection[tuple[int | str | bytes | integer[Any] | str_ | bytes_ | object_, ...]]

Create an item list collection from a dictionary.

classmethod from_df(df, key, *others)#

Create an item list collection from a data frame.


Keys with empty item lists will be silently excluded from the output data.

  • df (DataFrame) – The data frame to convert.

  • key (type[K] | Sequence[str | AliasedColumn] | str | AliasedColumn) – The key type or field(s). Can be specified as a single column name (or AliasedColumn).

  • others (str | AliasedColumn) – Other columns to consider; primarily used to pass additional aliased columns to normalize other clumnes like the item ID.

add(list, *fields, **kwfields)#

Add a single item list to this list.

**Misplaced materials data:**
/*
(1)
Density functional theory data (PBE) for an optimized crystal structure of CsGeO3.

Summary:
**Total magnetic moment**: 1.0 μB/cell
**Crystal system**: cubic
**DFT formation energy**: -1.285 eV/atom
**Corrected total energy (MP2020 scheme)**: -5.357 eV/atom
**Volume**: 67.1 Å³/f.u.

Cell and atoms, written as CIF:
```
data_CsGeO3
_chemical_formula_sum 'Cs1 Ge1 O3'
_symmetry_space_group_name_H-M 'P m -3 m'
_symmetry_Int_Tables_number 221
_symmetry_space_group_name_Hall '-P 4 2 3'
_cell_length_a 4.065
_cell_length_b 4.065
_cell_length_c 4.065
_cell_angle_alpha 90.00
_cell_angle_beta 90.00
_cell_angle_gamma 90.00
loop_
_atom_site_label
_atom_site_type_symbol
_atom_site_fract_x
_atom_site_fract_y
_atom_site_fract_z
Cs1 Cs 0.000 0.000 0.000
Ge1 Ge 0.500 0.500 0.500
O1 O 0.000 0.500 0.500
```



(2)
Density functional theory data (PBE) for an optimized crystal structure of Cs10Ge2O9.

Summary:
**Total magnetic moment**: 0.0 μB/cell
**Crystal system**: monoclinic
**DFT formation energy**: -1.720 eV/atom
**Corrected total energy (MP2020 scheme)**: -4.708 eV/atom
**Volume**: 590.5 Å³/f.u.

Cell and atoms, written as CIF:
```
data_Cs10Ge2O9
_chemical_formula_sum 'Cs40 Ge8 O36'
_symmetry_space_group_name_H-M 'P 1 21/c 1'
_symmetry_Int_Tables_number 14
_cell_length_a 13.072
_cell_length_b 11.790
_cell_length_c 19.347
_cell_angle_alpha 90.00
_cell_angle_beta 127.61
_cell_angle_gamma 90.00
loop_
_symmetry_equiv_pos_as_xyz
'x,y,z'
'-x,-y,-z'
'-x,y+1/2,-z+1/2'
'x,-y+1/2,z+1/2'
loop_
_atom_site_label
_atom_site_type_symbol
_atom_site_fract_x
_atom_site_fract_y
_atom_site_fract_z
Cs1 Cs 0.038 0.181 0.418
Cs2 Cs 0.072 0.213 0.712
Cs3 Cs 0.121 0.595 0.507
Cs4 Cs 0.203 0.584 0.323
Cs5 Cs 0.249 0.638 0.964
Cs6 Cs 0.292 0.532 0.162
Cs7 Cs 0.303 0.172 0.162
Cs8 Cs 0.353 0.111 0.373
Cs9 Cs 0.367 0.659 0.753
Cs10 Cs 0.381 0.109 0.003
Ge1 Ge 0.076 0.555 0.714
Ge2 Ge 0.490 0.648 0.630
O1 O 0.052 0.678 0.977
O2 O 0.085 0.028 0.297
O3 O 0.089 0.076 0.880
O4 O 0.150 0.692 0.757
O5 O 0.169 0.020 0.187
O6 O 0.338 0.152 0.812
O7 O 0.406 0.639 0.514
O8 O 0.446 0.721 0.156
O9 O 0.450 0.525 0.666
```



(3)
Density functional theory data (PBE) for an optimized crystal structure of Cs6Ge2O7.

Summary:
**Crystal system**: monoclinic
**DFT formation energy**: -1.956 eV/atom
**Corrected total energy (MP2020 scheme)**: -5.240 eV/atom
**Volume**: 366.3 Å³/f.u.

Cell and atoms, written as CIF:
```
data_Cs6Ge2O7
_chemical_formula_sum 'Cs12 Ge4 O14'
_symmetry_space_group_name_H-M 'P 1 21/c 1'
_symmetry_Int_Tables_number 14
_cell_length_a 7.317
_cell_length_b 9.963
_cell_length_c 12.303
_cell_angle_alpha 90.00
_cell_angle_beta 125.24
_cell_angle_gamma 90.00
loop_
_symmetry_equiv_pos_as_xyz
'x,y,z'
'-x,-y,-z'
'-x,y+1/2,-z+1/2'
'x,-y+1/2,z+1/2'
loop_
_atom_site_label
_atom_site_type_symbol
_atom_site_fract_x
_atom_site_fract_y
_atom_site_fract_z
Cs1 Cs 0.028 0.146 0.413
Cs2 Cs 0.207 0.525 0.454
Cs3 Cs 0.392 0.218 0.278
Ge1 Ge 0.328 0.634 0.875
O1 O 0.085 0.657 0.872
O2 O 0.264 0.581 0.718
*/

add_from(other, **fields)#

Add all collection from another collection to this collection. If field values are supplied, they are used to supplement or overwrite the keys in other; a common use case is to add results from multiple recommendation runs and save them a single field.

lookup(key: tuple) ItemList | None#
lookup(*key: int | str | bytes | integer[Any] | str_ | bytes_ | object_, **kwkey: int | str | bytes | integer[Any] | str_ | bytes_ | object_) ItemList | None

Look up a list by key. If multiple lists have the same key, this returns the last (like a dictionary).

This method can be called with the key tuple as a single argument (and this can be either the actual named tuple, or an ordinary tuple of the same length), or with the individual key fields as positional or named arguments.


key – The key tuple or key tuple fields.


Iterate over item lists and keys.

Return type:

Iterator[tuple[K, ItemList]]